What to do >
Retype every line underneath that contains the word "the", please.

Material >
........
For Hf6B5, a structure optimized by DFT (GGA-PBE) gives the theoretical X-ray powder pattern in this record (CuKα).
No peak broadening, texture or thermal motion is included.

Structure:
Lattice parameters (Å, degrees): 5.943 5.943 5.828 99.73 99.73 120.18
Fractional positions:
Hf1 0.076 0.416 0.244
Hf2 0.247 0.247 0.753
Hf3 0.416 0.076 0.244
Hf4 0.584 0.924 0.756
Hf5 0.753 0.753 0.247
Hf6 0.924 0.584 0.756
B1 0.000 0.000 0.000
B2 0.166 0.834 0.500
B3 0.338 0.662 0.000
B4 0.662 0.338 0.000
B5 0.834 0.166 0.500

Top 10 peaks for 2θ = 10–90°, by intensity:
2θ = 32.1°, intensity 100; 2θ = 37.4°, intensity 77; 2θ = 32.7°, intensity 32; 2θ = 54.3°, intensity 26; 2θ = 64.1°, intensity 19; 2θ = 53.5°, intensity 18; 2θ = 64.8°, intensity 14; 2θ = 63.6°, intensity 10; 2θ = 64.0°, intensity 9; 2θ = 67.0°, intensity 9

For DyHoGe2, a structure optimized by DFT (GGA-PBE) gives the theoretical X-ray powder pattern in this record (CuKα).
No peak broadening, texture or thermal motion is included.

Structure:
Lattice parameters (Å, degrees): 3.925 7.943 5.762 90.00 90.00 90.00
Fractional positions:
Dy1 0.000 0.070 0.000
Dy2 0.500 0.930 0.500
Ho1 0.000 0.570 0.263
Ho2 0.500 0.430 0.763
Ge1 0.000 0.209 0.526
Ge2 0.000 0.707 0.738
Ge3 0.500 0.293 0.238
Ge4 0.500 0.791 0.026

Top 10 peaks for 2θ = 10–90°, by intensity:
2θ = 32.1°, intensity 100; 2θ = 33.1°, intensity 95; 2θ = 29.7°, intensity 84; 2θ = 35.7°, intensity 84; 2θ = 40.5°, intensity 78; 2θ = 37.4°, intensity 55; 2θ = 46.3°, intensity 39; 2θ = 58.0°, intensity 38; 2θ = 48.5°, intensity 30; 2θ = 60.9°, intensity 26


This entry pairs a crystal structure of Ba4CuO5 with its calculated powder diffractogram. Radiation: Cu Kα X-rays. Structure: a crystal structure in Alexandria, relaxed with PBE.
Neutral-atom scattering factors, no anomalous dispersion.

Crystal structure
a b c (Å): 7.2455 7.2455 10.4266
angles (deg): 129.54 129.54 31.28
Element x y z (fractional)
Ba 0.0887 0.0887 0.3203
Ba 0.2460 0.2460 0.1596
Ba 0.7540 0.7540 0.8404
Ba 0.9113 0.9113 0.6797
Cu 0.5000 0.5000 0.0000
O 0.0000 0.0000 0.0000
O 0.2517 0.2517 0.6594
O 0.4105 0.4105 0.1019
O 0.5895 0.5895 0.8981
O 0.7483 0.7483 0.3406

Largest 8 diffraction maxima, in order of rising 2θ, 2θ from 10° to 90°:
11.31°, rel. 30.0
24.34°, rel. 30.5
27.89°, rel. 38.0
28.12°, rel. 29.9
29.23°, rel. 100.0
30.46°, rel. 78.7
37.32°, rel. 30.7
41.92°, rel. 31.6
........

Here it is >
For Hf6B5, a structure optimized by DFT (GGA-PBE) gives the theoretical X-ray powder pattern in this record (CuKα).
For DyHoGe2, a structure optimized by DFT (GGA-PBE) gives the theoretical X-ray powder pattern in this record (CuKα).